=====
No. 1
84
Properties=species:S:1:pos:R:3:forces:R:3 method="wB97M-V/def2-TZVPD" s_squared=0.755 gap_ev="4.062 / 4.090" e_lumo_ev="3.29 / 3.29" homo_energy_ev="-0.8 / -0.8" multiplicity=2 fmax_ev_per_a=0.62 total_charge=-2
Cu -0.32353 3.05181 -0.21834 -0.452 -0.304 0.286
Br 6.35126 3.68319 -2.13598 0.003 0.001 0.000
C 4.51206 3.45538 -1.71539 -0.004 0.005 0.006
C 3.95674 2.19135 -1.74152 0.009 -0.019 0.003
C 2.61416 2.09003 -1.40052 -0.001 -0.059 0.076
N 1.88070 3.13940 -1.07377 -0.010 0.080 -0.040
C 2.40835 4.35513 -1.09736 0.042 -0.027 -0.026
C 3.75299 4.56498 -1.39719 0.009 -0.003 -0.021
C 1.44973 5.46752 -0.82336 -0.028 0.020 -0.012
C 1.83691 6.80125 -0.88337 0.016 0.009 0.021
C 0.87351 7.76136 -0.64604 -0.003 -0.009 -0.003
Br 1.35759 9.59741 -0.72325 0.001 0.005 -0.001
C -0.42498 7.40076 -0.35823 -0.005 0.005 0.009
C -0.71800 6.04418 -0.31474 0.020 -0.013 0.062
N 0.19568 5.10747 -0.54881 0.098 0.216 -0.107
H 4.53288 1.31546 -2.00246 0.003 -0.003 0.012
H 2.10405 1.13397 -1.38003 -0.037 -0.087 0.041
H 4.20241 5.54607 -1.38722 -0.006 0.004 -0.016
H 2.85069 7.09138 -1.11176 0.004 0.000 0.008
H -1.19297 8.13451 -0.16262 0.001 0.004 -0.001
H -1.71028 5.66133 -0.06589 -0.004 0.003 -0.014
O -3.80549 3.70924 5.82894 -0.002 0.001 0.006
C -3.26061 3.65158 4.74125 -0.002 -0.002 0.003
S -1.53136 3.44457 4.51286 0.002 0.004 -0.005
C -1.49911 3.48348 2.74626 0.018 0.020 -0.003
C -2.68770 3.62733 2.12041 -0.034 0.019 0.003
S -3.05254 3.70013 0.42199 0.104 0.037 -0.011
S -4.08868 3.76029 3.19914 -0.002 0.002 -0.003
S 0.11098 3.34420 2.06733 0.113 0.051 0.070
C -1.89623 -7.22335 2.85709 0.001 0.000 0.002
C -1.67878 -5.78021 2.48134 -0.002 -0.009 -0.001
C -2.61930 -5.07630 1.74547 0.001 -0.010 0.003
C -2.42303 -3.74301 1.38674 -0.021 0.045 -0.020
C -3.50742 -3.06394 0.58489 0.015 -0.010 -0.027
C -1.24951 -3.06405 1.76020 0.146 -0.039 0.088
Te -1.03533 -0.94909 1.04646 -0.197 -0.077 -0.090
N -0.77167 1.12532 -0.33535 0.262 0.074 0.016
C -1.16647 1.34081 -1.53876 0.098 -0.043 -0.123
O -0.90709 2.47306 -2.14038 -0.054 -0.005 -0.016
C -1.96130 0.34213 -2.33144 0.016 -0.034 -0.006
C -1.56443 -0.01493 -3.61650 0.014 -0.015 0.009
C -2.26741 -0.97291 -4.33425 -0.004 0.006 -0.003
C -3.39756 -1.56433 -3.78234 0.002 0.006 -0.004
C -3.82085 -1.18403 -2.51440 -0.011 0.029 -0.030
C -3.10423 -0.24069 -1.79061 -0.020 0.047 -0.051
C 0.83170 -1.44169 0.14056 -0.020 -0.035 0.065
C 2.02367 -0.87484 0.60643 0.017 0.037 0.000
C 2.07695 0.15452 1.70434 -0.020 0.015 -0.045
C 3.23629 -1.26773 0.03204 0.010 0.074 -0.026
C 3.29845 -2.17780 -1.00886 -0.029 -0.002 -0.007
C 4.61578 -2.58902 -1.61334 0.009 0.004 0.006
C 2.10167 -2.69946 -1.48553 0.017 -0.015 0.011
C 0.87473 -2.35192 -0.92875 -0.040 -0.029 -0.048
C -0.37401 -2.95551 -1.51341 0.019 -0.049 0.043
C -0.31576 -3.76883 2.53982 -0.079 -0.026 -0.027
C 0.93673 -3.11619 3.05578 0.020 0.038 -0.004
C -0.53473 -5.10369 2.87657 0.002 0.008 0.021
H -2.83980 -7.59392 2.45366 0.001 0.001 0.000
H -1.92277 -7.35256 3.94214 0.001 0.000 0.000
H -1.09479 -7.86005 2.47400 0.001 0.002 -0.001
H -3.53358 -5.57707 1.43645 0.001 0.007 0.001
H -4.32136 -3.76138 0.37554 -0.011 -0.016 -0.004
H -3.12005 -2.67523 -0.35988 -0.021 -0.049 0.075
H -3.92327 -2.20711 1.11904 -0.002 0.003 -0.008
H -0.69280 0.46952 -4.04012 0.002 -0.002 -0.005
H -1.93642 -1.25817 -5.32690 0.001 -0.003 -0.001
H -3.95019 -2.31162 -4.34064 0.001 -0.003 0.001
H -4.71137 -1.62837 -2.08428 0.002 0.000 -0.007
H -3.42167 0.06868 -0.80338 0.004 -0.008 0.003
H 1.16941 0.75169 1.76651 0.008 0.035 -0.016
H 2.91557 0.83533 1.54049 0.017 0.010 -0.022
H 2.23701 -0.31867 2.67649 -0.064 -0.043 0.039
H 4.15592 -0.83067 0.41480 -0.011 0.005 -0.017
H 5.43355 -1.98236 -1.22064 -0.006 0.000 -0.002
H 4.60419 -2.47928 -2.70014 0.002 -0.003 -0.004
H 4.84386 -3.63547 -1.39471 -0.005 -0.002 -0.002
H 2.11885 -3.39569 -2.31959 0.000 -0.006 0.000
H -0.12822 -3.58011 -2.37439 -0.001 0.003 -0.013
H -1.06740 -2.17647 -1.83341 -0.012 0.011 0.010
H -0.89274 -3.57066 -0.77417 0.032 0.009 -0.041
=====

Your job: write out only the last part of the contents further above, starting with the line that has "0.006 -0.003".

C -2.26741 -0.97291 -4.33425 -0.004 0.006 -0.003
C -3.39756 -1.56433 -3.78234 0.002 0.006 -0.004
C -3.82085 -1.18403 -2.51440 -0.011 0.029 -0.030
C -3.10423 -0.24069 -1.79061 -0.020 0.047 -0.051
C 0.83170 -1.44169 0.14056 -0.020 -0.035 0.065
C 2.02367 -0.87484 0.60643 0.017 0.037 0.000
C 2.07695 0.15452 1.70434 -0.020 0.015 -0.045
C 3.23629 -1.26773 0.03204 0.010 0.074 -0.026
C 3.29845 -2.17780 -1.00886 -0.029 -0.002 -0.007
C 4.61578 -2.58902 -1.61334 0.009 0.004 0.006
C 2.10167 -2.69946 -1.48553 0.017 -0.015 0.011
C 0.87473 -2.35192 -0.92875 -0.040 -0.029 -0.048
C -0.37401 -2.95551 -1.51341 0.019 -0.049 0.043
C -0.31576 -3.76883 2.53982 -0.079 -0.026 -0.027
C 0.93673 -3.11619 3.05578 0.020 0.038 -0.004
C -0.53473 -5.10369 2.87657 0.002 0.008 0.021
H -2.83980 -7.59392 2.45366 0.001 0.001 0.000
H -1.92277 -7.35256 3.94214 0.001 0.000 0.000
H -1.09479 -7.86005 2.47400 0.001 0.002 -0.001
H -3.53358 -5.57707 1.43645 0.001 0.007 0.001
H -4.32136 -3.76138 0.37554 -0.011 -0.016 -0.004
H -3.12005 -2.67523 -0.35988 -0.021 -0.049 0.075
H -3.92327 -2.20711 1.11904 -0.002 0.003 -0.008
H -0.69280 0.46952 -4.04012 0.002 -0.002 -0.005
H -1.93642 -1.25817 -5.32690 0.001 -0.003 -0.001
H -3.95019 -2.31162 -4.34064 0.001 -0.003 0.001
H -4.71137 -1.62837 -2.08428 0.002 0.000 -0.007
H -3.42167 0.06868 -0.80338 0.004 -0.008 0.003
H 1.16941 0.75169 1.76651 0.008 0.035 -0.016
H 2.91557 0.83533 1.54049 0.017 0.010 -0.022
H 2.23701 -0.31867 2.67649 -0.064 -0.043 0.039
H 4.15592 -0.83067 0.41480 -0.011 0.005 -0.017
H 5.43355 -1.98236 -1.22064 -0.006 0.000 -0.002
H 4.60419 -2.47928 -2.70014 0.002 -0.003 -0.004
H 4.84386 -3.63547 -1.39471 -0.005 -0.002 -0.002
H 2.11885 -3.39569 -2.31959 0.000 -0.006 0.000
H -0.12822 -3.58011 -2.37439 -0.001 0.003 -0.013
H -1.06740 -2.17647 -1.83341 -0.012 0.011 0.010
H -0.89274 -3.57066 -0.77417 0.032 0.009 -0.041